_Activity_
It remains to print everything further below word for word.

_Excerpt_
A) Computed, not measured: Fe2OF3 after structural relaxation at the GGA+U level of DFT.

V	12.200	Å³/atom
space-group type	C2 (5)

Lattice parameters (Å, degrees): 5.768 5.768 9.307 95.27 95.27 72.12
Fractional positions:
Fe  0.000  0.000  0.000
Fe  0.135  0.114  0.624
Fe  0.305  0.190  0.249
Fe  0.408  0.339  0.874
Fe  0.543  0.457  0.500
Fe  0.661  0.592  0.126
Fe  0.810  0.695  0.751
Fe  0.886  0.865  0.376
O  0.112  0.395  0.754
O  0.605  0.888  0.246
O  0.705  0.295  0.000
O  0.846  0.154  0.500
F  0.020  0.936  0.771
F  0.064  0.980  0.229
F  0.227  0.773  0.500
F  0.261  0.196  0.023
F  0.310  0.231  0.477
F  0.323  0.677  0.000
F  0.489  0.014  0.749
F  0.505  0.445  0.274
F  0.555  0.495  0.726
F  0.769  0.690  0.523
F  0.804  0.739  0.977
F  0.986  0.511  0.251

B) Computed, not measured: Fe2OF3 after structural relaxation at the GGA+U level of DFT.

V	12.254	Å³/atom
space-group type	Cmcm (63)

Lattice parameters (Å, degrees): 4.883 4.883 6.170 90.00 90.00 88.23
Fractional positions:
Fe  0.000  0.000  0.000
Fe  0.000  0.000  0.500
Fe  0.469  0.531  0.750
Fe  0.531  0.469  0.250
O  0.168  0.832  0.750
O  0.832  0.168  0.250
F  0.210  0.790  0.250
F  0.295  0.295  0.000
F  0.295  0.295  0.500
F  0.705  0.705  0.000
F  0.705  0.705  0.500
F  0.790  0.210  0.750

Order from most stable to least stable according to the calculation: B), A)

A) Computed, not measured: Fe2OF3 after structural relaxation at the GGA+U level of DFT.

V	12.227	Å³/atom
space-group type	Amm2 (38)

Lattice parameters (Å, degrees): 15.650 4.843 4.843 91.77 90.00 90.00
Fractional positions:
Fe  0.000  0.000  0.000
Fe  0.100  0.532  0.532
Fe  0.200  0.054  0.054
Fe  0.299  0.506  0.506
Fe  0.400  0.043  0.043
Fe  0.500  0.506  0.506
Fe  0.600  0.043  0.043
Fe  0.701  0.506  0.506
Fe  0.800  0.054  0.054
Fe  0.900  0.532  0.532
O  0.000  0.702  0.702
O  0.197  0.352  0.352
O  0.400  0.343  0.343
O  0.600  0.343  0.343
O  0.803  0.352  0.352
F  0.000  0.321  0.321
F  0.100  0.237  0.821
F  0.100  0.821  0.237
F  0.202  0.735  0.735
F  0.299  0.243  0.823
F  0.299  0.823  0.243
F  0.400  0.728  0.728
F  0.500  0.240  0.821
F  0.500  0.821  0.240
F  0.600  0.728  0.728
F  0.701  0.243  0.823
F  0.701  0.823  0.243
F  0.798  0.735  0.735
F  0.900  0.237  0.821
F  0.900  0.821  0.237

B) Computed, not measured: Fe2OF3 after structural relaxation at the GGA+U level of DFT.

V	12.191	Å³/atom
space-group type	P2_1/c (14)

Lattice parameters (Å, degrees): 5.777 4.743 10.766 90.00 97.35 90.00
Fractional positions:
Fe  0.000  0.000  0.000
Fe  0.000  0.500  0.500
Fe  0.244  0.024  0.733
Fe  0.244  0.476  0.233
Fe  0.500  0.000  0.500
Fe  0.500  0.500  0.000
Fe  0.756  0.524  0.767
Fe  0.756  0.976  0.267
O  0.222  0.193  0.578
O  0.222  0.307  0.078
O  0.778  0.693  0.922
O  0.778  0.807  0.422
F  0.017  0.706  0.686
F  0.017  0.794  0.186
F  0.282  0.683  0.404
F  0.282  0.817  0.904
F  0.484  0.210  0.318
F  0.484  0.290  0.818
F  0.516  0.710  0.182
F  0.516  0.790  0.682
F  0.718  0.183  0.096
F  0.718  0.317  0.596
F  0.983  0.206  0.814
F  0.983  0.294  0.314

Order from most stable to least stable according to the calculation: A), B)

A) Computed, not measured: Fe6OF11 after structural relaxation at the GGA+U level of DFT.

V	12.602	Å³/atom
space-group type	Amm2 (38)

Lattice parameters (Å, degrees): 9.693 4.838 4.838 90.46 90.00 90.00
Fractional positions:
Fe  0.000  0.000  0.000
Fe  0.151  0.529  0.529
Fe  0.332  0.023  0.023
Fe  0.500  0.520  0.520
Fe  0.668  0.023  0.023
Fe  0.849  0.529  0.529
O  0.000  0.714  0.714
F  0.000  0.305  0.305
F  0.170  0.226  0.812
F  0.170  0.812  0.226
F  0.326  0.326  0.326
F  0.328  0.718  0.718
F  0.500  0.223  0.819
F  0.500  0.819  0.223
F  0.672  0.718  0.718
F  0.674  0.326  0.326
F  0.830  0.226  0.812
F  0.830  0.812  0.226

B) Computed, not measured: Fe6OF11 after structural relaxation at the GGA+U level of DFT.

V	12.611	Å³/atom
space-group type	Amm2 (38)

_Outcome_
A) Computed, not measured: Fe2OF3 after structural relaxation at the GGA+U level of DFT.

V	12.200	Å³/atom
space-group type	C2 (5)

Lattice parameters (Å, degrees): 5.768 5.768 9.307 95.27 95.27 72.12
Fractional positions:
Fe  0.000  0.000  0.000
Fe  0.135  0.114  0.624
Fe  0.305  0.190  0.249
Fe  0.408  0.339  0.874
Fe  0.543  0.457  0.500
Fe  0.661  0.592  0.126
Fe  0.810  0.695  0.751
Fe  0.886  0.865  0.376
O  0.112  0.395  0.754
O  0.605  0.888  0.246
O  0.705  0.295  0.000
O  0.846  0.154  0.500
F  0.020  0.936  0.771
F  0.064  0.980  0.229
F  0.227  0.773  0.500
F  0.261  0.196  0.023
F  0.310  0.231  0.477
F  0.323  0.677  0.000
F  0.489  0.014  0.749
F  0.505  0.445  0.274
F  0.555  0.495  0.726
F  0.769  0.690  0.523
F  0.804  0.739  0.977
F  0.986  0.511  0.251

B) Computed, not measured: Fe2OF3 after structural relaxation at the GGA+U level of DFT.

V	12.254	Å³/atom
space-group type	Cmcm (63)

Lattice parameters (Å, degrees): 4.883 4.883 6.170 90.00 90.00 88.23
Fractional positions:
Fe  0.000  0.000  0.000
Fe  0.000  0.000  0.500
Fe  0.469  0.531  0.750
Fe  0.531  0.469  0.250
O  0.168  0.832  0.750
O  0.832  0.168  0.250
F  0.210  0.790  0.250
F  0.295  0.295  0.000
F  0.295  0.295  0.500
F  0.705  0.705  0.000
F  0.705  0.705  0.500
F  0.790  0.210  0.750

Order from most stable to least stable according to the calculation: B), A)

A) Computed, not measured: Fe2OF3 after structural relaxation at the GGA+U level of DFT.

V	12.227	Å³/atom
space-group type	Amm2 (38)

Lattice parameters (Å, degrees): 15.650 4.843 4.843 91.77 90.00 90.00
Fractional positions:
Fe  0.000  0.000  0.000
Fe  0.100  0.532  0.532
Fe  0.200  0.054  0.054
Fe  0.299  0.506  0.506
Fe  0.400  0.043  0.043
Fe  0.500  0.506  0.506
Fe  0.600  0.043  0.043
Fe  0.701  0.506  0.506
Fe  0.800  0.054  0.054
Fe  0.900  0.532  0.532
O  0.000  0.702  0.702
O  0.197  0.352  0.352
O  0.400  0.343  0.343
O  0.600  0.343  0.343
O  0.803  0.352  0.352
F  0.000  0.321  0.321
F  0.100  0.237  0.821
F  0.100  0.821  0.237
F  0.202  0.735  0.735
F  0.299  0.243  0.823
F  0.299  0.823  0.243
F  0.400  0.728  0.728
F  0.500  0.240  0.821
F  0.500  0.821  0.240
F  0.600  0.728  0.728
F  0.701  0.243  0.823
F  0.701  0.823  0.243
F  0.798  0.735  0.735
F  0.900  0.237  0.821
F  0.900  0.821  0.237

B) Computed, not measured: Fe2OF3 after structural relaxation at the GGA+U level of DFT.

V	12.191	Å³/atom
space-group type	P2_1/c (14)

Lattice parameters (Å, degrees): 5.777 4.743 10.766 90.00 97.35 90.00
Fractional positions:
Fe  0.000  0.000  0.000
Fe  0.000  0.500  0.500
Fe  0.244  0.024  0.733
Fe  0.244  0.476  0.233
Fe  0.500  0.000  0.500
Fe  0.500  0.500  0.000
Fe  0.756  0.524  0.767
Fe  0.756  0.976  0.267
O  0.222  0.193  0.578
O  0.222  0.307  0.078
O  0.778  0.693  0.922
O  0.778  0.807  0.422
F  0.017  0.706  0.686
F  0.017  0.794  0.186
F  0.282  0.683  0.404
F  0.282  0.817  0.904
F  0.484  0.210  0.318
F  0.484  0.290  0.818
F  0.516  0.710  0.182
F  0.516  0.790  0.682
F  0.718  0.183  0.096
F  0.718  0.317  0.596
F  0.983  0.206  0.814
F  0.983  0.294  0.314

Order from most stable to least stable according to the calculation: A), B)

A) Computed, not measured: Fe6OF11 after structural relaxation at the GGA+U level of DFT.

V	12.602	Å³/atom
space-group type	Amm2 (38)

Lattice parameters (Å, degrees): 9.693 4.838 4.838 90.46 90.00 90.00
Fractional positions:
Fe  0.000  0.000  0.000
Fe  0.151  0.529  0.529
Fe  0.332  0.023  0.023
Fe  0.500  0.520  0.520
Fe  0.668  0.023  0.023
Fe  0.849  0.529  0.529
O  0.000  0.714  0.714
F  0.000  0.305  0.305
F  0.170  0.226  0.812
F  0.170  0.812  0.226
F  0.326  0.326  0.326
F  0.328  0.718  0.718
F  0.500  0.223  0.819
F  0.500  0.819  0.223
F  0.672  0.718  0.718
F  0.674  0.326  0.326
F  0.830  0.226  0.812
F  0.830  0.812  0.226

B) Computed, not measured: Fe6OF11 after structural relaxation at the GGA+U level of DFT.

V	12.611	Å³/atom
space-group type	Amm2 (38)